### Assignment
It remains to quote the whole of the material below without additions.

### Material
# MgFe6O8F4, optimized geometry, DFT GGA+U
# E_form = -35.13 eV/f.u.
# Offset from the most stable computed form = 8.6 kJ per mole of atoms
# Theoretical density = 4.589 Mg/m³
data_MgFe6O8F4
_cell_length_a 4.718
_cell_length_b 4.735
_cell_length_c 9.129
_cell_angle_alpha 90.03
_cell_angle_beta 90.04
_cell_angle_gamma 90.95
_space_group_name_H-M_alt 'P 1'
_space_group_IT_number 1
loop_
_space_group_symop_operation_xyz
'x,y,z'
loop_
_atom_site_label
_atom_site_type_symbol
_atom_site_fract_x
_atom_site_fract_y
_atom_site_fract_z
Mg1 Mg 0.000 0.000 0.000
Fe1 Fe 0.000 0.498 0.320
Fe2 Fe 0.000 0.500 0.999
Fe3 Fe 0.500 0.000 0.500
Fe4 Fe 0.500 0.000 0.804
Fe5 Fe 0.500 0.999 0.196
Fe6 Fe 0.999 0.500 0.678
O1 O 0.163 0.276 0.846
O2 O 0.164 0.275 0.153
O3 O 0.306 0.779 0.337
O4 O 0.307 0.782 0.662
O5 O 0.692 0.218 0.662
O6 O 0.694 0.220 0.337
O7 O 0.836 0.724 0.153
O8 O 0.836 0.724 0.846
F1 F 0.177 0.300 0.500
F2 F 0.344 0.782 0.000
F3 F 0.656 0.217 0.000
F4 F 0.822 0.700 0.500

### Result
# MgFe6O8F4, optimized geometry, DFT GGA+U
# E_form = -35.13 eV/f.u.
# Offset from the most stable computed form = 8.6 kJ per mole of atoms
# Theoretical density = 4.589 Mg/m³
data_MgFe6O8F4
_cell_length_a 4.718
_cell_length_b 4.735
_cell_length_c 9.129
_cell_angle_alpha 90.03
_cell_angle_beta 90.04
_cell_angle_gamma 90.95
_space_group_name_H-M_alt 'P 1'
_space_group_IT_number 1
loop_
_space_group_symop_operation_xyz
'x,y,z'
loop_
_atom_site_label
_atom_site_type_symbol
_atom_site_fract_x
_atom_site_fract_y
_atom_site_fract_z
Mg1 Mg 0.000 0.000 0.000
Fe1 Fe 0.000 0.498 0.320
Fe2 Fe 0.000 0.500 0.999
Fe3 Fe 0.500 0.000 0.500
Fe4 Fe 0.500 0.000 0.804
Fe5 Fe 0.500 0.999 0.196
Fe6 Fe 0.999 0.500 0.678
O1 O 0.163 0.276 0.846
O2 O 0.164 0.275 0.153
O3 O 0.306 0.779 0.337
O4 O 0.307 0.782 0.662
O5 O 0.692 0.218 0.662
O6 O 0.694 0.220 0.337
O7 O 0.836 0.724 0.153
O8 O 0.836 0.724 0.846
F1 F 0.177 0.300 0.500
F2 F 0.344 0.782 0.000
F3 F 0.656 0.217 0.000
F4 F 0.822 0.700 0.500